Executive Summary
The peace process with Colombia’s largest and longest standing guerrilla group has defied its detractors and brought 11,200 ex-combatants to the cusp of civilian life, but the aftermath of war has not been safe for all. Since the Revolutionary Armed Forces of Colombia (FARC) withdrew from their rural heartlands to gather in cantonments in early 2017, rival armed actors have taken their place, waging a battle for spoils: control of isolated communities and territories, many rich in illicit business. In the Pacific cocaine hub of Tumaco, in hamlets of Chocó, or in contraband zones on the Venezuelan border, established armed groups and new insurgent breakaway factions have attacked state forces, intimidated communities and vied to become undisputed local overlords. Grassroots security is crucial to assure the success of the peace process with the FARC as it shifts from a UN-monitored weapons handover to deeper structural reforms of politics and society. Efforts to combat remaining armed outfits are essential, but in so doing the government must not alienate the population and exacerbate poverty in ways that would aggravate the conditions that propel these groups’ growth.
Most of these armed factions now cluster in coastal and border areas. Around 1,000 FARC dissidents, who disown the peace deal for various reasons, are de facto rulers of disparate territories, several of them dependent on the drug trade. Colombia’s second main guerrilla force, the National Liberation Army (ELN), has brokered a temporary ceasefire with the government despite looking to conquer new territories, especially along the Pacific coast. The Gaitanista Self-defence Force, currently the largest neo-paramilitary group in the country, combines a vertical military hierarchy centred in the country’s north west with a web of subcontracted local gangs. It is now the country’s leading drug trafficking organisation.
Thriving illicit businesses – booming coca plantations, illegal gold mines, extortion rackets and contraband – account for the survival and expansion of many of these groups. But economic interests alone do not explain their support within some communities. By resolving disputes and defending illicit livelihoods from law enforcement, these groups have crafted a rudimentary, authoritarian form of local political leadership. The Colombian state has responded through a nationwide “Victory Plan”, deploying 80,000 soldiers and police officers to occupy vacated FARC territory. Yet even if security forces could seize all disputed territory, coercion alone cannot establish bonds of trust between the state and local citizens; instead, they need to be persuaded that there is a better alternative to the summary justice and social discipline meted out by illegal groups.
The next phase of reforms under the peace accord aims precisely at building such trust between state and citizenry. It includes a more plural democratic system, reintegration of ex-FARC fighters, justice for conflict victims and a coca substitution program. But its implementation faces myriad difficulties. Comprehensive reintegration plans are on hold. Voluntary coca substitution, one of the accord’s flagship programs, will require a long-term commitment from the state and far more international political and financial backing. Corruption debilitates the government’s campaign against armed groups, and must be countered by stronger and more independent agencies operating within and outside the military and police. Urgent consideration also should be given to the design of new judicial approaches that might encourage other armed groups to lay down their weapons and follow the FARC’s path to peace.
-- Someone pasted records of molecules at this point --
-- begin --
No. 1
# AsF6H32O16

A structure of composition AsF6H32O16 at a distorted geometry (wB97M-V/def2-TZVPD, the OMol25 dataset).

Its charge is -1. The LUMO energy comes out at 2.15 eV. The energy above the lowest of the compared OMol25 structures with the same formula, charge and spin is 0.0 kcal/mol. The maximum force is 1.2 eV Å⁻¹. The HOMO-LUMO gap is 9.8 eV. The HOMO energy is -7.7 eV. As for the multiplicity: 1. For the total energy, the calculation gives -4058.2990 hartree.

Geometry as XYZ:
```
55
Properties=species:S:1:pos:R:3:lowdin_charge:R:1
As -0.21001 -0.23239 0.33692 0.804
F -1.30790 -1.56763 0.45074 -0.207
F -0.55040 0.17888 1.99364 -0.217
F 0.95258 1.05036 0.17742 -0.220
F 0.06238 -0.63095 -1.32562 -0.225
F -1.47494 0.91135 -0.02004 -0.220
F 1.06222 -1.37558 0.71758 -0.243
O -0.60174 -0.20590 -4.53660 -0.062
H 0.03767 0.21228 -3.92226 0.006
H -0.90192 0.50918 -5.10527 0.041
O -4.56846 0.00792 -1.59512 -0.084
H -3.85412 -0.43838 -2.08225 -0.012
H -4.20251 0.87760 -1.38705 -0.020
O 0.88914 1.08425 4.69549 -0.085
H 0.13767 0.48370 4.68599 0.017
H 1.42202 0.82419 3.91950 -0.022
O -3.37479 -0.94560 2.99826 -0.042
H -4.18208 -0.42062 2.97961 0.061
H -2.65821 -0.30653 2.90330 0.029
O 1.00006 1.64665 -3.02535 -0.055
H 0.77386 1.66057 -2.08495 0.007
H 0.33276 2.21605 -3.42674 0.048
O 2.32986 -3.67515 -0.62667 -0.044
H 1.66732 -3.33793 -0.00510 0.041
H 2.39197 -4.61635 -0.43517 0.067
O 3.95813 -1.29177 -0.01288 -0.060
H 3.74372 -2.04992 -0.57265 0.005
H 3.10748 -1.00626 0.33892 -0.012
O 3.62199 1.77197 0.16443 -0.054
H 4.03424 1.35665 -0.60324 0.059
H 2.67316 1.76199 -0.03367 0.015
O 2.14628 -1.78854 -2.79910 -0.065
H 2.33071 -2.37645 -2.04825 -0.022
H 1.43879 -1.22004 -2.46279 -0.010
O -2.33357 -1.53178 -2.60170 -0.064
H -2.04942 -1.29512 -3.49981 0.024
H -1.50961 -1.62284 -2.10675 0.008
O -3.63647 2.73780 -0.62009 -0.051
H -2.89721 2.28384 -0.18886 0.002
H -3.29060 3.61421 -0.81842 0.042
O -1.00801 3.29899 1.49053 -0.053
H -0.99048 2.33647 1.39473 -0.006
H -0.15857 3.51165 1.89626 0.064
O 1.94570 -2.80272 2.97091 -0.062
H 2.79208 -2.93830 2.53100 0.027
H 1.48400 -2.16385 2.40736 -0.005
O -0.18192 3.93846 -1.26587 -0.061
H -0.58565 3.63424 -0.43337 -0.009
H 0.28793 4.74287 -1.02761 0.040
O -3.36075 -3.20956 1.34685 -0.091
H -2.63484 -2.90356 0.78668 -0.006
H -3.41605 -2.55655 2.06520 -0.016
O 2.78262 0.74682 2.66248 -0.061
H 3.10386 1.00251 1.77753 0.000
H 3.43000 0.10879 2.98191 0.059
```

No. 2
# B2BrH6LiNO2P

A structure of composition B2BrH6LiNO2P at a distorted geometry (wB97M-V/def2-TZVPD, the OMol25 dataset).

The LUMO energy comes out at -2.26 eV. The maximum force is 3.3 eV Å⁻¹. The HOMO-LUMO gap is 4.7 eV. The HOMO energy is -6.9 eV. As for the multiplicity: 1. For the total energy, the calculation gives -3181.4521 hartree.

Geometry as XYZ:
```
14
Properties=species:S:1:pos:R:3:lowdin_charge:R:1
N 0.23647 -1.83118 -0.78773 0.066
B -0.61256 -0.62165 -1.17723 -0.575
O -0.76045 -0.09828 -2.56684 -0.035
-- stop --
The initial accord’s defeat in a 2016 plebiscite demonstrated the public’s mistrust of the peace process, raising the risk that the 2018 elections could bring a government to power that is intent on rewriting or gutting the agreement. Implementation of the accord is threatened both by an opposition that believes it pandered to FARC guerrillas, and by armed factions that regard the deal either as a fraud or an opportunity to expand. The combination of local armed activity and divisive national politics could decisively weaken public support for the accord unless the results of the peace process defy expectations once again. For that to happen, the government must aim its sights at both local insecurity and the broader weaknesses of local governance that underpin it.